• Excerpt:
+++
A single C4H6O3Si molecule in a non-equilibrium geometry, computed with the ωB97M-V functional and the def2-TZVPD basis.

Output
HOMO energy (spin up / spin down) in eV: -6.41 / -9.34
HOMO-LUMO gap (spin up / spin down) in eV: 6.0 / 6.9
<S²>: 2.02
2S+1: 3

Element x y z (Å)
C 0.652 -1.951 -0.475
C -1.696 0.213 -1.216
C 1.532 0.954 -0.681
C -0.404 0.675 1.760
O 1.151 -2.145 -1.559
O -2.797 0.170 -0.747
O 2.034 1.805 0.000
Si -0.090 0.155 -0.037
H 0.589 -2.823 0.350
H -1.473 0.005 -2.288
H 2.013 0.463 -1.615
H -1.205 0.186 2.293
H 0.518 0.603 2.420
H -0.824 1.689 1.795

Results of the natural (NBO) charge analysis, in e, for atoms 1 through 5: -0.2151 0.0726 0.0366 -1.1443 -0.4008



A single C4H6O4 molecule in a non-equilibrium geometry, computed with the ωB97M-V functional and the def2-TZVPD basis.

Output
HOMO energy in eV: -9.98
HOMO-LUMO gap in eV: 10.4
SMILES: O=C(O)[C@]1(O)C[C@@H]1O

Element x y z (Å)
O -1.422 0.985 1.091
C -1.268 0.639 -0.047
O -2.053 1.066 -1.145
C -0.063 -0.228 -0.439
O -0.185 -0.610 -1.820
C 0.359 -1.169 0.750
C 1.200 -0.012 0.403
O 1.440 0.986 1.243
H -1.608 0.489 -1.814
H 0.286 0.190 -2.291
H 0.857 -2.157 0.661
H -0.273 -1.006 1.647
H 2.119 -0.429 -0.031
H 0.611 1.256 1.793

Results of the natural (NBO) charge analysis, in e, for atoms 1 through 5: -0.5985 0.7681 -0.6716 0.0564 -0.6916



Looking at relative energy (zero: lowest compared OMol25 entry of this formula, charge and spin) for the records above, in order, we have 3.916, 2.652 eV.

=====

Entry from OMol25: a structure of composition C17H25F5HfNO3P2 (ωB97M-V with the def2-TZVPD basis set).

Geometry (Å):
C: -3.78485 0.86826 -1.74274
C: -2.68390 0.68019 -0.89827
N: -1.45974 0.38451 -1.38813
C: -1.29984 0.28079 -2.72777
C: -2.35764 0.48206 -3.60381
C: -3.62411 0.78565 -3.12006
C: -2.90763 0.61120 0.61888
P: -1.54088 0.67736 1.81193
Hf: 0.34783 0.26615 0.11563
P: 1.23014 -0.81973 -2.14395
C: 0.02689 -0.05173 -3.34249
O: -3.93885 -2.57063 0.96051
O: -1.47669 -3.18830 -1.25325
H: -4.75072 1.06904 -1.27206
H: -2.19340 0.34191 -4.66851
H: -4.47015 0.96588 -3.77824
C: -1.68023 2.46155 2.24155
C: -2.12213 -0.21647 3.25277
H: -0.08208 -0.76869 -4.17476
H: 0.51636 0.85262 -3.74609
H: -3.33698 -0.37516 0.79181
H: -3.73995 1.26090 0.92187
C: 2.82184 -0.10796 -2.65313
C: 1.28490 -2.55520 -2.68859
H: -0.75884 -2.97634 -0.68846
H: -1.81429 -4.00221 -0.84173
H: -3.17754 -2.39062 0.36280
H: -4.69381 -2.33223 0.37242
H: 0.82945 1.76621 -0.40640
H: 0.39367 -1.32324 0.74519
H: -2.64616 2.55765 2.78774
H: -0.81976 2.79162 2.86503
H: -1.70577 3.04160 1.29014
H: -2.86388 0.38495 3.78775
H: -2.56933 -1.16195 2.93254
H: -1.28719 -0.43385 3.92975
H: 1.53220 -2.62834 -3.76009
H: 2.05681 -3.07104 -2.09479
H: 0.31011 -3.03544 -2.50058
H: 3.14159 -0.46492 -3.64759
H: 2.73825 0.99246 -2.65737
H: 3.58103 -0.39240 -1.90265
F: 6.23390 1.76585 4.07538
C: 5.16757 1.35073 3.38053
C: 5.12895 0.02984 2.91226
F: 6.14568 -0.81993 3.16477
C: 4.03984 -0.38614 2.18327
F: 3.95132 -1.62460 1.65765
C: 2.99504 0.52881 1.92936
O: 1.99189 0.18995 1.18111
C: 3.03222 1.84411 2.44876
F: 1.97017 2.66314 2.20821
C: 4.13001 2.26776 3.15265
F: 4.18871 3.53435 3.61927

energy above the lowest of the compared OMol25 structures with the same formula, charge and spin	0.0	kcal/mol
HOMO energy	-0.3933	Ha
electronic energy	-2173.04236	Eh
multiplicity	1
E_LUMO	-3.509	eV
charge	+1
HOMO-LUMO gap	7.1925	eV

=====

Entry from OMol25: a structure of composition C17H25N2O6S2Tc (ωB97M-V with the def2-TZVPD basis set).

Geometry (Å):
Tc: -1.74854 -1.38063 -0.51691
C: 4.02826 3.65034 0.28850
C: 2.77091 2.94908 0.72555
C: 2.56410 1.59956 0.44205
C: 1.40088 0.96076 0.83751
C: 0.42540 1.66827 1.52626
C: 0.61124 3.00830 1.81986
C: 1.78100 3.63892 1.41859
S: -1.07347 0.82844 1.99673
O: -1.85324 1.77703 2.75312
O: -0.64310 -0.38118 2.66838
N: -1.79061 0.44036 0.63556
C: -2.83107 1.35036 0.17921
C: -3.72723 0.66677 -0.83543
O: -4.74680 1.15790 -1.23225
O: -3.33349 -0.56130 -1.23548
H: 4.76023 2.94318 -0.10029
+++

• Request:
The reader should restate the calculation results further up from the line with "<S²>: 2.02" to the end with every line break kept.

• Completed:
<S²>: 2.02
2S+1: 3

Element x y z (Å)
C 0.652 -1.951 -0.475
C -1.696 0.213 -1.216
C 1.532 0.954 -0.681
C -0.404 0.675 1.760
O 1.151 -2.145 -1.559
O -2.797 0.170 -0.747
O 2.034 1.805 0.000
Si -0.090 0.155 -0.037
H 0.589 -2.823 0.350
H -1.473 0.005 -2.288
H 2.013 0.463 -1.615
H -1.205 0.186 2.293
H 0.518 0.603 2.420
H -0.824 1.689 1.795

Results of the natural (NBO) charge analysis, in e, for atoms 1 through 5: -0.2151 0.0726 0.0366 -1.1443 -0.4008



A single C4H6O4 molecule in a non-equilibrium geometry, computed with the ωB97M-V functional and the def2-TZVPD basis.

Output
HOMO energy in eV: -9.98
HOMO-LUMO gap in eV: 10.4
SMILES: O=C(O)[C@]1(O)C[C@@H]1O

Element x y z (Å)
O -1.422 0.985 1.091
C -1.268 0.639 -0.047
O -2.053 1.066 -1.145
C -0.063 -0.228 -0.439
O -0.185 -0.610 -1.820
C 0.359 -1.169 0.750
C 1.200 -0.012 0.403
O 1.440 0.986 1.243
H -1.608 0.489 -1.814
H 0.286 0.190 -2.291
H 0.857 -2.157 0.661
H -0.273 -1.006 1.647
H 2.119 -0.429 -0.031
H 0.611 1.256 1.793

Results of the natural (NBO) charge analysis, in e, for atoms 1 through 5: -0.5985 0.7681 -0.6716 0.0564 -0.6916



Looking at relative energy (zero: lowest compared OMol25 entry of this formula, charge and spin) for the records above, in order, we have 3.916, 2.652 eV.

=====

Entry from OMol25: a structure of composition C17H25F5HfNO3P2 (ωB97M-V with the def2-TZVPD basis set).

Geometry (Å):
C: -3.78485 0.86826 -1.74274
C: -2.68390 0.68019 -0.89827
N: -1.45974 0.38451 -1.38813
C: -1.29984 0.28079 -2.72777
C: -2.35764 0.48206 -3.60381
C: -3.62411 0.78565 -3.12006
C: -2.90763 0.61120 0.61888
P: -1.54088 0.67736 1.81193
Hf: 0.34783 0.26615 0.11563
P: 1.23014 -0.81973 -2.14395
C: 0.02689 -0.05173 -3.34249
O: -3.93885 -2.57063 0.96051
O: -1.47669 -3.18830 -1.25325
H: -4.75072 1.06904 -1.27206
H: -2.19340 0.34191 -4.66851
H: -4.47015 0.96588 -3.77824
C: -1.68023 2.46155 2.24155
C: -2.12213 -0.21647 3.25277
H: -0.08208 -0.76869 -4.17476
H: 0.51636 0.85262 -3.74609
H: -3.33698 -0.37516 0.79181
H: -3.73995 1.26090 0.92187
C: 2.82184 -0.10796 -2.65313
C: 1.28490 -2.55520 -2.68859
H: -0.75884 -2.97634 -0.68846
H: -1.81429 -4.00221 -0.84173
H: -3.17754 -2.39062 0.36280
H: -4.69381 -2.33223 0.37242
H: 0.82945 1.76621 -0.40640
H: 0.39367 -1.32324 0.74519
H: -2.64616 2.55765 2.78774
H: -0.81976 2.79162 2.86503
H: -1.70577 3.04160 1.29014
H: -2.86388 0.38495 3.78775
H: -2.56933 -1.16195 2.93254
H: -1.28719 -0.43385 3.92975
H: 1.53220 -2.62834 -3.76009
H: 2.05681 -3.07104 -2.09479
H: 0.31011 -3.03544 -2.50058
H: 3.14159 -0.46492 -3.64759
H: 2.73825 0.99246 -2.65737
H: 3.58103 -0.39240 -1.90265
F: 6.23390 1.76585 4.07538
C: 5.16757 1.35073 3.38053
C: 5.12895 0.02984 2.91226
F: 6.14568 -0.81993 3.16477
C: 4.03984 -0.38614 2.18327
F: 3.95132 -1.62460 1.65765
C: 2.99504 0.52881 1.92936
O: 1.99189 0.18995 1.18111
C: 3.03222 1.84411 2.44876
F: 1.97017 2.66314 2.20821
C: 4.13001 2.26776 3.15265
F: 4.18871 3.53435 3.61927

energy above the lowest of the compared OMol25 structures with the same formula, charge and spin	0.0	kcal/mol
HOMO energy	-0.3933	Ha
electronic energy	-2173.04236	Eh
multiplicity	1
E_LUMO	-3.509	eV
charge	+1
HOMO-LUMO gap	7.1925	eV

=====

Entry from OMol25: a structure of composition C17H25N2O6S2Tc (ωB97M-V with the def2-TZVPD basis set).

Geometry (Å):
Tc: -1.74854 -1.38063 -0.51691
C: 4.02826 3.65034 0.28850
C: 2.77091 2.94908 0.72555
C: 2.56410 1.59956 0.44205
C: 1.40088 0.96076 0.83751
C: 0.42540 1.66827 1.52626
C: 0.61124 3.00830 1.81986
C: 1.78100 3.63892 1.41859
S: -1.07347 0.82844 1.99673
O: -1.85324 1.77703 2.75312
O: -0.64310 -0.38118 2.66838
N: -1.79061 0.44036 0.63556
C: -2.83107 1.35036 0.17921
C: -3.72723 0.66677 -0.83543
O: -4.74680 1.15790 -1.23225
O: -3.33349 -0.56130 -1.23548
H: 4.76023 2.94318 -0.10029